(Contents)
'''
[1]
A plane-wave DFT calculation with GGA+U was carried out for an optimized crystal structure of K2LiNiF6.

Cell lengths 5.673, 5.673, 5.673 Å; angles 60.00, 60.00, 60.00 degrees
Positions (direct):
K  0.250  0.250  0.250
K  0.750  0.750  0.750
Li  0.500  0.500  0.500
Ni  0.000  0.000  0.000
F  0.238  0.762  0.238
F  0.762  0.762  0.238
F  0.762  0.238  0.762
F  0.762  0.238  0.238
F  0.238  0.762  0.762
F  0.238  0.238  0.762

## Properties
As for the symmetry: Fm-3m (225). The calculation puts the magnetization at 1.00 Bohr magnetons per cell.

[2]
A plane-wave DFT calculation with GGA+U was carried out for an optimized crystal structure of Ti3MnFe2P6O24.

Cell lengths 8.571, 8.571, 8.571 Å; angles 61.19, 61.19, 61.19 degrees
Positions (direct):
Ti  0.857  0.857  0.857
Ti  0.645  0.645  0.645
Ti  0.354  0.354  0.354
Mn  0.143  0.143  0.143
Fe  0.003  0.003  0.003
Fe  0.501  0.501  0.501
P  0.952  0.248  0.548
P  0.548  0.952  0.248
P  0.745  0.460  0.044
P  0.460  0.044  0.745
P  0.044  0.745  0.460
P  0.248  0.548  0.952
O  0.887  0.666  0.521
O  0.666  0.521  0.887
O  0.942  0.090  0.745
O  0.521  0.887  0.666
O  0.978  0.184  0.400
O  0.759  0.412  0.572
O  0.745  0.942  0.090
O  0.572  0.759  0.412
O  0.814  0.621  0.997
O  0.412  0.572  0.759
O  0.897  0.268  0.047
O  0.621  0.997  0.814
O  0.400  0.978  0.184
O  0.090  0.745  0.942
O  0.586  0.449  0.239
O  0.184  0.400  0.978
O  0.449  0.239  0.586
O  0.268  0.047  0.897
O  0.239  0.586  0.449
O  0.997  0.814  0.621
O  0.495  0.120  0.312
O  0.047  0.897  0.268
O  0.312  0.495  0.120
O  0.120  0.312  0.495

## Properties
As for the symmetry: R3 (146). The calculation puts the magnetization at 13.00 Bohr magnetons per cell.

[3]
A plane-wave DFT calculation with GGA+U was carried out for an optimized crystal structure of VFe3Cu2P6O24.

Cell lengths 8.557, 8.557, 8.557 Å; angles 60.36, 60.36, 60.36 degrees
Positions (direct):
V  0.143  0.143  0.143
Fe  0.644  0.644  0.644
Fe  0.856  0.856  0.856
Fe  0.356  0.356  0.356
Cu  0.998  0.998  0.998
Cu  0.499  0.499  0.499
P  0.957  0.251  0.543
P  0.543  0.957  0.251
P  0.251  0.543  0.957
P  0.751  0.457  0.045
P  0.457  0.045  0.751
P  0.045  0.751  0.457
O  0.503  0.113  0.314
O  0.314  0.503  0.113
O  0.113  0.314  0.503
O  0.943  0.086  0.734
O  0.009  0.187  0.373
O  0.762  0.413  0.547
O  0.734  0.943  0.086
O  0.547  0.762  0.413
O  0.813  0.614  0.007
O  0.413  0.547  0.762
O  0.920  0.260  0.064
O  0.614  0.007  0.813
O  0.373  0.009  0.187
O  0.086  0.734  0.943
O  0.590  0.437  0.242
O  0.187  0.373  0.009
O  0.437  0.242  0.590
O  0.260  0.064  0.920
O  0.242  0.590  0.437
O  0.007  0.813  0.614
O  0.064  0.920  0.260
O  0.885  0.697  0.487
O  0.697  0.487  0.885
O  0.487  0.885  0.697

## Properties
As for the symmetry: R3 (146). The calculation puts the magnetization at 13.00 Bohr magnetons per cell.

[4]
A plane-wave DFT calculation with GGA+U was carried out for an optimized crystal structure of MgMn2O4.

Cell lengths 3.158, 3.286, 10.033 Å; angles 90.31, 81.37, 120.79 degrees
Positions (direct):
Mg  0.859  0.426  0.211
Mn  0.749  0.868  0.932
Mn  0.006  0.011  0.517
O  0.710  0.355  0.413
O  0.463  0.226  0.886
O  0.583  0.788  0.145
O  0.295  0.659  0.602

## Properties
As for the symmetry: P1 (1). The value obtained for the excess energy over the best structure of this formula in the dataset is 0.252 eV/atom. The calculation puts the magnetization at 8.00 Bohr magnetons per cell.

[5]
A plane-wave DFT calculation with GGA+U was carried out for an optimized crystal structure of CaLa2Mn3O9.

Cell lengths 5.562, 5.562, 13.380 Å; angles 90.00, 90.00, 120.00 degrees
Positions (direct):
Ca  0.000  0.000  0.750
Ca  0.000  0.000  0.250
La  0.333  0.667  0.086
La  0.667  0.333  0.414
La  0.333  0.667  0.586
La  0.667  0.333  0.914
Mn  0.333  0.667  0.332
Mn  0.000  0.000  0.000
Mn  0.667  0.333  0.668
Mn  0.333  0.667  0.832
Mn  0.000  0.000  0.500
Mn  0.667  0.333  0.168
O  0.769  0.105  0.082
'''

(Activity)
Your job: count the lines further up that contain the word "eV" and give the number alone.

(Result)
1